-- Request --
Now filter the lines underneath: keep the lines with the word "with".
-- File --
┌──
1.
ORCA calculation (ωB97M-V/def2-TZVPD) on a molecular structure, C22H17N4O3Pd.

Each line ends with the natural charge from an NBO analysis.
Element x y z (Å)
Pd -0.341 -0.088 0.486  1.00
O 0.831 -1.284 -1.166  -0.50
C 1.054 -2.470 -1.341  0.53
C 2.131 -2.887 -2.251  -0.16
C 2.400 -4.191 -2.438  -0.17
C 1.643 -5.186 -1.728  0.05
C 0.604 -4.873 -0.869  -0.21
C 0.243 -3.545 -0.645  -0.01
C -0.859 -3.192 0.158  0.33
N -1.232 -1.964 0.611  -0.46
C -2.384 -2.104 1.266  0.04
C -2.767 -3.453 1.249  0.10
N -1.811 -4.092 0.582  -0.43
H 2.680 -2.094 -2.742  0.28
H 3.189 -4.509 -3.106  0.28
H 1.904 -6.230 -1.866  0.27
H 0.107 -5.688 -0.360  0.25
H -2.896 -1.283 1.744  0.27
H -3.635 -3.945 1.661  0.29
H -1.832 -5.082 0.367  0.47
O -1.490 -3.966 7.262  -0.62
C -1.141 -4.083 5.988  0.77
O -1.103 -5.142 5.428  -0.53
C -0.825 -2.835 5.191  -0.12
C -1.424 -1.604 5.409  -0.17
C -1.208 -0.552 4.520  -0.22
C -0.374 -0.755 3.433  0.14
C 0.278 -1.972 3.237  -0.26
C 0.047 -3.008 4.113  -0.15
N -0.174 0.273 2.462  -0.41
C 0.113 1.486 2.758  0.19
C 0.349 2.398 1.656  0.09
C 0.626 3.741 1.776  -0.14
C 0.818 4.491 0.613  -0.09
C 0.724 3.870 -0.616  -0.18
C 0.448 2.505 -0.669  0.08
N 0.275 1.795 0.439  -0.41
H -1.361 -3.082 7.628  0.50
H -2.114 -1.457 6.231  0.25
H -1.731 0.387 4.654  0.24
H 0.985 -2.079 2.422  0.22
H 0.522 -3.971 3.984  0.26
H 0.249 1.790 3.794  0.26
H 0.684 4.200 2.754  0.27
H 1.035 5.550 0.679  0.28
H 0.866 4.417 -1.538  0.28
H 0.383 1.977 -1.613  0.24

Computed properties:
**Kohn-Sham gap (alpha / beta)**: 4.70 / 4.33 eV
**Charge**: +3
**HOMO energy (alpha / beta)**: -17.391 / -17.390 eV
**LUMO level (alpha / beta)**: -0.46643 / -0.47997 Ha

2.
ORCA calculation (ωB97M-V/def2-TZVPD) on a molecular structure, C3H5AgO3.

Each line ends with the Löwdin spin population.
Element x y z (Å)
H 1.485 -0.043 -1.253  0.05
C 0.011 -0.083 -1.096  0.08
C 0.845 1.098 -0.751  0.52
O 0.131 0.425 0.758  0.10
C -0.497 -0.481 1.398  0.06
O -0.964 -0.010 2.526  0.01
H -0.779 0.310 -1.767  0.04
H 0.263 2.003 -0.526  0.01
H -1.363 -0.733 3.024  0.00
H 1.335 1.544 -1.628  0.06
Ag -0.349 -2.618 0.354  0.03
O -0.116 -1.412 -1.038  0.04

Computed properties:
**2S+1**: 2
**<S²>**: 0.7619
**Kohn-Sham gap (alpha / beta)**: 7.85 / 6.42 eV
**Charge**: +1
**Energy relative to the best compared isomer or geometry (same formula, charge and spin)**: 185.3 kcal per mole
**HOMO energy (alpha / beta)**: -13.327 / -13.354 eV
**LUMO level (alpha / beta)**: -0.20145 / -0.25476 Ha

3.
ORCA calculation (ωB97M-V/def2-TZVPD) on a molecular structure, F7H4NO5P3S2.

Each line ends with the natural charge from an NBO analysis.
Element x y z (Å)
O 2.134 -0.721 1.215  -1.04
P 0.915 -1.073 1.865  2.47
O 0.669 -2.621 1.763  -0.96
O 0.970 -0.802 3.428  -0.97
N -0.514 -0.352 1.171  -1.29
P -0.489 1.438 1.121  0.94
S 0.979 2.226 0.193  -0.38
S -1.940 -0.928 1.818  2.55
O -1.931 -0.946 3.224  -0.92
O -2.989 -0.215 1.239  -0.92
F -1.980 -2.347 1.274  -0.45
H -0.049 -2.909 2.346  0.50
H 1.153 0.141 3.553  0.51
H -1.691 1.749 0.484  0.01
H -0.646 1.931 2.433  -0.05
F 0.786 -0.054 -2.432  -0.60
P 0.773 0.777 -3.876  2.60
F -0.884 0.706 -3.721  -0.60
F 0.652 2.121 -2.913  -0.60
F 1.868 -0.433 -4.191  -0.60
F 1.923 1.778 -4.544  -0.60
F 0.293 0.534 -5.450  -0.60

Computed properties:
**Kohn-Sham gap**: 8.64 eV
**Charge**: -1
**Energy relative to the best compared isomer or geometry (same formula, charge and spin)**: 10.9 kcal per mole
**HOMO energy**: -6.624 eV
**LUMO level**: 0.07396 Ha

4.
ORCA calculation (ωB97M-V/def2-TZVPD) on 2 unconnected molecules or ions with the total composition C27H55ClFN4O7S.

Each line ends with the Mulliken charge.
Element x y z (Å)
C -3.692 1.800 -1.836  -0.90
C -3.600 2.555 -0.708  -0.63
C -2.534 2.441 0.355  -0.73
N -1.235 1.966 -0.154  1.04
C -0.390 2.840 -0.574  -2.06
O -0.588 4.140 -0.622  -0.31
C -0.366 4.919 0.583  0.32
C -0.460 6.400 0.193  -1.37
C 0.896 2.212 -1.158  1.94
Cl 0.971 3.168 -2.699  -0.30
C 2.066 2.511 -0.173  -0.67
└──
-- Worked solution --
Each line ends with the natural charge from an NBO analysis.
Each line ends with the Löwdin spin population.
Each line ends with the natural charge from an NBO analysis.
ORCA calculation (ωB97M-V/def2-TZVPD) on 2 unconnected molecules or ions with the total composition C27H55ClFN4O7S.
Each line ends with the Mulliken charge.